Are you worried for how to get rid of the long lasting bad times that have been hindering your progress both at work and business? Get into peace then. You are about to get rid of most of your problems and will once again start to endure your life.
**Unrelated to this piece: records of crystals**
~~~
DFT (PBE-GGA) results for a relaxed structure of Ac8Ru2Pb.

Output
**Size of the total moment**: 0.00 μB/cell
**Density of states at the Fermi level**: 25.1 states/eV/cell
**Formation energy from the elements**: -0.11 eV/atom
**E**: -5.123 eV per atom

Cell lengths 13.9974, 9.1420, 6.8473 Å; angles 90.00, 94.23, 90.00 degrees
Closest atoms and distances in Å follow each position.
Space group C2/m (No. 12)
Symmetry-distinct sites (fractional):
Ac 0.1197 0.0000 0.1855 (multiplicity 4)  1 Ru 2.88
Ac 0.1318 0.5000 0.1080 (multiplicity 4)  1 Ru 2.99
Ac 0.1474 0.2209 0.6730 (multiplicity 8)  2 Ru 3.00-3.05
Ru 0.2246 0.5000 0.5160 (multiplicity 4)  6 Ac 2.88-3.05, 1 Pb 3.14
Pb 0.0000 0.5000 0.5000 (multiplicity 2)  2 Ru 3.14, 6 Ac 3.37-3.44

***

DFT (PBE-GGA) results for a relaxed structure of Ac12Ru6Pb.

Output
**Size of the total moment**: 0.00 μB/cell
**Density of states at the Fermi level**: 38.1 states/eV/cell
**Formation energy from the elements**: -0.17 eV/atom
**E**: -5.887 eV per atom

Cell lengths 10.7715, 10.7715, 10.7715 Å; angles 90.00, 90.00, 90.00 degrees
Closest atoms and distances in Å follow each position.
Space group Im-3 (No. 204)
Symmetry-distinct sites (fractional):
Ac 0.0000 0.1906 0.3082 (multiplicity 24)  3 Ru 2.91-3.18
Ru 0.0000 0.3811 0.5000 (multiplicity 12)  1 Ru 2.56
Pb 0.0000 0.0000 0.0000 (multiplicity 2)  12 Ac 3.90

***

DFT (PBE-GGA) results for a relaxed structure of Ac7Ru2Pb.

Output
**Size of the total moment**: 0.00 μB/cell
**Density of states at the Fermi level**: 17.1 states/eV/cell
**Formation energy from the elements**: -0.11 eV/atom
**E**: -5.215 eV per atom

Cell lengths 10.0504, 14.6924, 5.4719 Å; angles 90.00, 90.00, 90.00 degrees
Closest atoms and distances in Å follow each position.
Space group Cmmm (No. 65)
Symmetry-distinct sites (fractional):
Ac 0.0000 0.0000 0.0000 (multiplicity 2)  2 Ru 2.89
Ac 0.0000 0.2072 0.5000 (multiplicity 4)  2 Ru 2.74
Ac 0.1825 0.3688 0.0000 (multiplicity 8)  2 Ru 3.12-3.33
Ru 0.0000 0.1968 0.0000 (multiplicity 4)  3 Ac 2.74-2.89
Pb 0.0000 0.5000 0.5000 (multiplicity 2)  8 Ac 3.82

***

DFT (PBE-GGA) results for a relaxed structure of Ac7Ru2Pb3.

Output
**Size of the total moment**: 0.00 μB/cell
**Density of states at the Fermi level**: 17.4 states/eV/cell
**Formation energy from the elements**: -0.31 eV/atom
**E**: -5.179 eV per atom

Cell lengths 5.6526, 28.3052, 5.4864 Å; angles 90.00, 90.00, 90.00 degrees
Closest atoms and distances in Å follow each position.
Space group Cmmm (No. 65)
Symmetry-distinct sites (fractional):
Ac 0.0000 0.0000 0.0000 (multiplicity 2)  2 Ru 2.93
Ac 0.0000 0.0942 0.5000 (multiplicity 4)  2 Ru 2.76
Ac 0.0000 0.2077 0.0000 (multiplicity 4)  1 Ru 2.95
Ac 0.0000 0.3900 0.0000 (multiplicity 4)  2 Ru 2.83
Ru 0.0000 0.1035 0.0000 (multiplicity 4)  6 Ac 2.76-2.95
Pb 0.0000 0.3064 0.5000 (multiplicity 4)  10 Ac 3.62-3.99
Pb 0.0000 0.5000 0.5000 (multiplicity 2)  12 Ac 3.89-4.15

***

DFT (PBE-GGA) results for a relaxed structure of Ac12Ru5Pb3.

Output
~~~
Nowadays, online astrology has got an easy access even from remote areas through internet and allows getting remedies for various problems with the help of renowned astrologers. The old and most effective Indian astrology has been in easy reach these days to get the daily forecast and free daily horoscope at your mail with the easy access. This helps you take preventive measures towards your tasks and try to mend the bad luck. The Indian astro which is handy is made use of for various occasions whether it is marriage issues, new business project or vastu (housing), relationship, finance, health and career etc can be approached for the best performance.
Astrology in India has a blend of science and ancient astrology. The astrology performed in India is also known by different names like the Hindu astrology or the Vedic astrology. You can obtain the report for your horoscope sign created by an expert Indian astrologer based on our birth date and time and let you know with various problems and hindrances in your path. It also let you know with the auspicious timing, the ways to propel your important tasks.
Various issues related to the love making, compatibility and friendship can be sorted out by just checking the horoscope signs and endure your love and peace. The Indian astro can provide you the auspicious timing for moving into a new house or to start new business. The online Indian astrology services can be accessed by making some fees for the service and the service fee depends on the duration of support and the intensity of service. The astrology service can be tested for the benefits for shorter duration and could be extended if found pleasurable. Moreover you will be able to get the 24*7 online supports for the queries directly from the astrologer. The sessions with them can last for different timings dependable over the policy criteria.
The Indian astrology is the most accurate and effective in its prediction, which is based on vedic astrology and nakshatra calculation (planetary movements). Most of the high class people get in touch of astro works to get rid of various problems like Manglik dosham, Rahu-ketu dosham and get rid of the various evil effects. The Indian astro has been the most effective with the health related issues and you can attain this astrology and get green and healthy life.
# What comes next are crystal structures, not part of the text
┌──
No. 1
The following is a DFT calculation (PBE) of an optimized crystal structure of Y2SiAu.

a = 3.5453 Å, b = 3.5453 Å, c = 7.7810 Å
α = 90.00°, β = 90.00°, γ = 90.00°
With the nearest neighbours (Å) after each atom.
Atoms (fractional coordinates):
Y: 0.0000 0.0000 0.0000  4 Si 3.06, 1 Au 3.22
Y: 0.5000 0.5000 0.3778  4 Au 2.98, 1 Si 3.09
Si: 0.5000 0.5000 0.7746  4 Au 2.91, 5 Y 3.06-3.09
Au: 0.0000 0.0000 0.5857  4 Si 2.91, 5 Y 2.98-3.22

Values from the calculation:
The calculation puts the density of states at the Fermi level at 3.337 states/eV/cell. The value obtained for the theoretical density is 6.84 g/cm³. The space group is P4mm. The value obtained for the formation energy from raw total energies is -0.30 eV/atom.


No. 2
The following is a DFT calculation (PBE) of an optimized crystal structure of PmLuHg2.

a = 3.6777 Å, b = 3.6777 Å, c = 7.6699 Å
α = 90.00°, β = 90.00°, γ = 90.00°
With the nearest neighbours (Å) after each atom.
Atoms (fractional coordinates):
Pm: 0.0000 0.0000 0.0000  8 Hg 3.33, 4 Pm 3.68
Lu: 0.0000 0.0000 0.5000  8 Hg 3.14
Hg: 0.5000 0.5000 0.2712  4 Lu 3.14, 4 Pm 3.33, 1 Hg 3.51
Hg: 0.5000 0.5000 0.7288  4 Lu 3.14, 4 Pm 3.33, 1 Hg 3.51

Values from the calculation:
The energy above the most stable polymorph in this dataset comes out at 0 meV/atom. The calculation puts the density of states at the Fermi level at 2.955 states/eV/cell. The value obtained for the theoretical density is 11.54 g/cm³. The space group is P4/mmm. The energy of formation from the pure elements is -0.48 eV per atom.


No. 3
The following is a DFT calculation (PBE) of an optimized crystal structure of SrW2S.

a = 9.2001 Å, b = 9.2001 Å, c = 9.2001 Å
α = 149.28°, β = 149.28°, γ = 44.00°
With the nearest neighbours (Å) after each atom.
Atoms (fractional coordinates):
Sr: 0.0000 0.0000 0.0000  8 W 3.38-3.54, 4 S 3.45
Sr: 0.7500 0.2500 0.5000  8 W 3.38-3.54, 4 S 3.45
W: 0.3516 0.1250 0.7266  2 W 2.45, 2 S 2.46
W: 0.3750 0.6484 0.7734  2 W 2.45, 2 S 2.46
W: 0.3984 0.6250 0.2734  2 W 2.45, 2 S 2.46
W: 0.8750 0.6016 0.2266  2 W 2.45, 2 S 2.46
S: 0.2500 0.7500 0.5000  4 W 2.46
S: 0.5000 0.5000 0.0000  4 W 2.46

Values from the calculation:
The calculation puts the density of states at the Fermi level at 11.139 states/eV/cell. The value obtained for the theoretical density is 7.99 g/cm³. The space group is I-42d. The value obtained for the formation energy from raw total energies is 0.80 eV/atom.


No. 4
The following is a DFT calculation (PBE) of an optimized crystal structure of KSr2Mg.

a = 4.2446 Å, b = 4.2446 Å, c = 13.2107 Å
α = 99.06°, β = 99.06°, γ = 60.11°
With the nearest neighbours (Å) after each atom.
Atoms (fractional coordinates):
K: 0.0000 0.0000 0.0000  6 K 4.24-4.25, 6 Sr 4.55-4.57
Sr: 0.5675 0.5675 0.7037  3 Mg 3.61-3.62
Sr: 0.7652 0.7652 0.2956  3 Mg 3.61
Mg: 0.1651 0.1651 0.4995  6 Sr 3.61-3.62

Values from the calculation:
└──
Astrology service in India recommends the gem and stones to get rid of harmful effects of nature. Various gems are provided to the desired ones based on their nakshatra (astronomical calculation). One of the best and largest service providers in the astrology field is the “MyAstrologyPuja” and you too can get the benefits of the same and get rid of your problems and smile forever.
Article Source: http://www.amazines.com/Spiritual/article_detail.cfm/3079983?articleid=3079983